/*
H24O12Xe | ωB97M-V/def2-TZVPD

Summary:
- HOMO-LUMO gap (eV) = 10.130
- E (eV) = -33922.821
- HOMO (Eh) = -0.3780

Each line ends with the natural charge from an NBO analysis.
Geometry (Å):
1 Xe 0.309 0.681 -0.049  0.010
2 O -0.235 -1.950 2.812  -0.974
3 O -1.125 0.315 -3.576  -0.968
4 O 1.483 1.638 -3.419  -0.990
5 O 2.369 -0.904 2.834  -0.968
6 O 0.169 3.841 -1.323  -0.970
7 O 1.965 -0.989 -2.198  -0.971
8 O -2.922 -0.924 1.405  -0.959
9 O -2.522 -0.911 -1.565  -0.979
10 O -0.144 -2.499 -1.446  -0.993
11 O 0.638 3.865 1.379  -0.963
12 O 1.587 1.721 3.300  -0.971
13 O -1.546 -3.653 0.888  -0.969
14 H -1.303 0.041 -2.676  0.498
15 H 1.510 0.781 3.139  0.488
16 H 1.242 3.219 1.746  0.499
17 H -0.921 -0.497 -4.039  0.471
18 H -2.707 -1.007 -0.631  0.508
19 H 1.583 2.443 -3.927  0.482
20 H -3.373 -1.593 1.919  0.490
21 H 1.904 -0.036 -2.134  0.499
22 H 2.891 -1.257 2.114  0.499
23 H -0.806 -1.230 2.546  0.474
24 H 0.507 2.947 -1.372  0.461
25 H -1.451 -3.442 1.817  0.475
26 H -0.910 -3.089 0.448  0.487
27 H -0.071 3.920 2.020  0.476
28 H 2.989 -0.388 3.349  0.492
29 H -3.107 -1.536 -1.992  0.489
30 H 0.682 1.238 -3.759  0.501
31 H 1.279 1.836 4.199  0.475
32 H -0.923 -1.958 -1.313  0.470
33 H -3.338 -0.102 1.662  0.478
34 H 0.502 -1.901 -1.822  0.491
35 H 0.356 4.120 -0.427  0.489
36 H 0.650 -1.591 2.751  0.489
37 H 2.787 -1.147 -2.663  0.485

C47H46N5O3S2TeY | ωB97M-V/def2-TZVPD

Summary:
- HOMO-LUMO gap (spin up / spin down) (eV) = 7.193 / 6.904
- charge = +1
- E (eV) = -93084.624
- 2S+1 = 2
- HOMO (spin up / spin down) (Eh) = -0.3547 / -0.3827

Each line ends with the Löwdin charge.
Geometry (Å):
1 Te 0.152 -1.464 -2.648  1.748
2 Y 2.082 0.527 0.874  1.355
3 S -0.438 1.566 0.723  0.764
4 S 2.311 2.977 2.509  0.589
5 O 1.187 3.858 2.669  -0.285
6 O 2.832 2.788 1.125  -0.408
7 O 3.707 -0.466 -0.153  -0.216
8 N -1.310 4.076 0.552  0.084
9 N 2.135 1.468 2.923  -0.265
10 N 1.446 -1.068 2.619  0.032
11 N 0.104 3.408 -1.101  0.133
12 N 1.546 -0.962 -0.707  -0.239
13 C -0.559 3.102 0.026  -0.752
14 C 5.185 -2.900 -3.213  -0.062
15 C -2.960 -4.991 -7.010  -0.041
16 C -0.156 -0.419 5.905  -0.030
17 C 0.130 0.908 6.036  -0.050
18 C 5.833 3.413 4.361  -0.059
19 C -1.125 -3.435 -6.283  -0.009
20 C -2.216 -4.234 -5.949  -0.253
21 C -2.086 -0.966 -0.545  -0.363
22 C -1.405 -1.864 0.442  -0.093
23 C 0.074 -2.504 4.563  0.016
24 C -1.953 5.242 2.545  -0.027
25 C -1.599 -0.641 -1.812  -0.388
26 C 1.025 -0.443 3.769  -0.157
27 C -2.320 -3.826 -2.192  -0.051
28 C -3.490 0.792 -2.174  -0.005
29 C 3.403 -2.214 -1.753  -0.196
30 C 3.263 -4.316 -2.917  -0.071
31 C -3.290 -0.401 -0.131  -0.036
32 C -1.845 0.598 -4.028  -0.080
33 C -2.663 5.335 3.730  -0.070
34 C 0.548 -3.126 3.445  -0.030
35 C -2.035 4.086 1.782  -0.253
36 C -3.539 3.132 3.369  -0.067
37 C -2.842 3.031 2.173  -0.052
38 C 5.627 4.550 5.136  -0.063
39 C 4.491 -4.065 -3.512  -0.072
40 C 2.718 -3.389 -2.041  -0.101
41 C -4.010 0.476 -0.928  -0.258
42 C 1.222 -2.355 2.481  -0.122
43 C -3.451 4.272 4.150  -0.079
44 C 3.609 3.628 3.499  -0.283
45 C 4.821 2.945 3.543  -0.053
46 C -0.421 -2.716 -5.328  -0.320
47 C 0.300 -1.122 4.759  -0.146
48 C 0.892 1.594 5.058  0.006
49 C -0.848 -2.793 -3.992  -0.367
50 C -5.308 1.066 -0.451  -0.033
51 C -2.299 0.244 -2.639  -0.303
52 C -1.892 -3.626 -3.618  -0.286
53 C 3.393 4.761 4.267  -0.053
54 C 4.416 5.218 5.087  -0.062
55 C -2.570 -4.325 -4.615  -0.006
56 C 0.765 -1.903 -5.779  -0.090
57 C 1.336 0.941 3.944  -0.255
58 C 2.819 -1.187 -0.847  -0.623
59 C 4.650 -1.980 -2.325  -0.013
60 H -1.270 -1.328 1.384  0.069
61 H -1.319 6.058 2.222  0.118
62 H 6.780 2.893 4.397  0.112
63 H -2.297 -5.680 -7.533  0.086
64 H 0.585 -0.829 -5.693  0.066
65 H -0.806 -3.376 -7.317  0.123
66 H -3.376 -4.313 -7.755  0.086
67 H 0.983 -2.120 -6.822  0.080
68 H -3.392 -4.972 -4.328  0.121
69 H -1.187 4.995 0.148  0.155
70 H 2.445 5.275 4.220  0.111
71 H -0.213 1.451 6.905  0.112
72 H 1.567 -2.805 1.557  0.114
73 H -0.808 0.945 -4.043  0.055
74 H -2.596 6.235 4.325  0.108
*/
Please type out all of the rows earlier on without altering anything.
H24O12Xe | ωB97M-V/def2-TZVPD

Summary:
- HOMO-LUMO gap (eV) = 10.130
- E (eV) = -33922.821
- HOMO (Eh) = -0.3780

Each line ends with the natural charge from an NBO analysis.
Geometry (Å):
1 Xe 0.309 0.681 -0.049  0.010
2 O -0.235 -1.950 2.812  -0.974
3 O -1.125 0.315 -3.576  -0.968
4 O 1.483 1.638 -3.419  -0.990
5 O 2.369 -0.904 2.834  -0.968
6 O 0.169 3.841 -1.323  -0.970
7 O 1.965 -0.989 -2.198  -0.971
8 O -2.922 -0.924 1.405  -0.959
9 O -2.522 -0.911 -1.565  -0.979
10 O -0.144 -2.499 -1.446  -0.993
11 O 0.638 3.865 1.379  -0.963
12 O 1.587 1.721 3.300  -0.971
13 O -1.546 -3.653 0.888  -0.969
14 H -1.303 0.041 -2.676  0.498
15 H 1.510 0.781 3.139  0.488
16 H 1.242 3.219 1.746  0.499
17 H -0.921 -0.497 -4.039  0.471
18 H -2.707 -1.007 -0.631  0.508
19 H 1.583 2.443 -3.927  0.482
20 H -3.373 -1.593 1.919  0.490
21 H 1.904 -0.036 -2.134  0.499
22 H 2.891 -1.257 2.114  0.499
23 H -0.806 -1.230 2.546  0.474
24 H 0.507 2.947 -1.372  0.461
25 H -1.451 -3.442 1.817  0.475
26 H -0.910 -3.089 0.448  0.487
27 H -0.071 3.920 2.020  0.476
28 H 2.989 -0.388 3.349  0.492
29 H -3.107 -1.536 -1.992  0.489
30 H 0.682 1.238 -3.759  0.501
31 H 1.279 1.836 4.199  0.475
32 H -0.923 -1.958 -1.313  0.470
33 H -3.338 -0.102 1.662  0.478
34 H 0.502 -1.901 -1.822  0.491
35 H 0.356 4.120 -0.427  0.489
36 H 0.650 -1.591 2.751  0.489
37 H 2.787 -1.147 -2.663  0.485

C47H46N5O3S2TeY | ωB97M-V/def2-TZVPD

Summary:
- HOMO-LUMO gap (spin up / spin down) (eV) = 7.193 / 6.904
- charge = +1
- E (eV) = -93084.624
- 2S+1 = 2
- HOMO (spin up / spin down) (Eh) = -0.3547 / -0.3827

Each line ends with the Löwdin charge.
Geometry (Å):
1 Te 0.152 -1.464 -2.648  1.748
2 Y 2.082 0.527 0.874  1.355
3 S -0.438 1.566 0.723  0.764
4 S 2.311 2.977 2.509  0.589
5 O 1.187 3.858 2.669  -0.285
6 O 2.832 2.788 1.125  -0.408
7 O 3.707 -0.466 -0.153  -0.216
8 N -1.310 4.076 0.552  0.084
9 N 2.135 1.468 2.923  -0.265
10 N 1.446 -1.068 2.619  0.032
11 N 0.104 3.408 -1.101  0.133
12 N 1.546 -0.962 -0.707  -0.239
13 C -0.559 3.102 0.026  -0.752
14 C 5.185 -2.900 -3.213  -0.062
15 C -2.960 -4.991 -7.010  -0.041
16 C -0.156 -0.419 5.905  -0.030
17 C 0.130 0.908 6.036  -0.050
18 C 5.833 3.413 4.361  -0.059
19 C -1.125 -3.435 -6.283  -0.009
20 C -2.216 -4.234 -5.949  -0.253
21 C -2.086 -0.966 -0.545  -0.363
22 C -1.405 -1.864 0.442  -0.093
23 C 0.074 -2.504 4.563  0.016
24 C -1.953 5.242 2.545  -0.027
25 C -1.599 -0.641 -1.812  -0.388
26 C 1.025 -0.443 3.769  -0.157
27 C -2.320 -3.826 -2.192  -0.051
28 C -3.490 0.792 -2.174  -0.005
29 C 3.403 -2.214 -1.753  -0.196
30 C 3.263 -4.316 -2.917  -0.071
31 C -3.290 -0.401 -0.131  -0.036
32 C -1.845 0.598 -4.028  -0.080
33 C -2.663 5.335 3.730  -0.070
34 C 0.548 -3.126 3.445  -0.030
35 C -2.035 4.086 1.782  -0.253
36 C -3.539 3.132 3.369  -0.067
37 C -2.842 3.031 2.173  -0.052
38 C 5.627 4.550 5.136  -0.063
39 C 4.491 -4.065 -3.512  -0.072
40 C 2.718 -3.389 -2.041  -0.101
41 C -4.010 0.476 -0.928  -0.258
42 C 1.222 -2.355 2.481  -0.122
43 C -3.451 4.272 4.150  -0.079
44 C 3.609 3.628 3.499  -0.283
45 C 4.821 2.945 3.543  -0.053
46 C -0.421 -2.716 -5.328  -0.320
47 C 0.300 -1.122 4.759  -0.146
48 C 0.892 1.594 5.058  0.006
49 C -0.848 -2.793 -3.992  -0.367
50 C -5.308 1.066 -0.451  -0.033
51 C -2.299 0.244 -2.639  -0.303
52 C -1.892 -3.626 -3.618  -0.286
53 C 3.393 4.761 4.267  -0.053
54 C 4.416 5.218 5.087  -0.062
55 C -2.570 -4.325 -4.615  -0.006
56 C 0.765 -1.903 -5.779  -0.090
57 C 1.336 0.941 3.944  -0.255
58 C 2.819 -1.187 -0.847  -0.623
59 C 4.650 -1.980 -2.325  -0.013
60 H -1.270 -1.328 1.384  0.069
61 H -1.319 6.058 2.222  0.118
62 H 6.780 2.893 4.397  0.112
63 H -2.297 -5.680 -7.533  0.086
64 H 0.585 -0.829 -5.693  0.066
65 H -0.806 -3.376 -7.317  0.123
66 H -3.376 -4.313 -7.755  0.086
67 H 0.983 -2.120 -6.822  0.080
68 H -3.392 -4.972 -4.328  0.121
69 H -1.187 4.995 0.148  0.155
70 H 2.445 5.275 4.220  0.111
71 H -0.213 1.451 6.905  0.112
72 H 1.567 -2.805 1.557  0.114
73 H -0.808 0.945 -4.043  0.055
74 H -2.596 6.235 4.325  0.108